What is a vasectomy?
A vasectomy is a small operation to cut and tie off the vas deferens, or the tube running from the testes to the penis. This tube carries sperm from the testes, to the prostate where it is mixed with other fluid to become semen.After a vasectomy, the testes still make sperm but, after a period of time, the body breaks down and reabsorbs this sperm – this is a normal process which happens anyway if a man has not ejaculated for some time.
Vasectomy is a safe, reliable, permanent form of sterilisation, which is very reliable. It is usually performed when a couple wishes to stop using other forms of contraception, such as the oral contraceptive pill, IUD or condoms, and do not want any more children.
Having a vasectomy does not increase the risk of getting prostate cancer later in life and there is also no increased risk of testicular cancer.
How is a vasectomy performed?
Vasectomy is performed under local anaesthetic and is a ‘no-scalpel’ procedure in which a small sharp pointed instrument is used to pierce the skin. This technique has less risk of bleeding than if the skin was cut with a scalpel. The risks of any operation are pain, swelling, bleeding or bruising, and infection. Swelling will occur and takes a few days to a few weeks to go down.
Can I have unprotected sex straight away?
You cannot have unprotected sex straightaway as the sperm lives downstream from where the vas deferens has been tied off. This sperm takes many months to die or be ejaculated out of the system so you will need to do at least two semen tests after your surgery to confirm your sterility. Until you have two negative tests, you need to keep using another contraception method.
Vasectomy Reversal
Reversal is not always successful, is expensive and needs a general anaesthetic. Under 5 years post vasectomy the success rate is high (approximately 75%), lower if 5-10 years (50%) and less than 20% after 10 years. Given that life does change and a reversal after 10 years is usually unsuccessful, a vasectomy is probably not the best contraceptive choice for people under the age of 30, unless your partner has health issues which make having children a major problem.
The success of a vasectomy reversal is dependent on a number of factors such as length of time since the vasectomy operation, the amount of damage caused at the time of the vasectomy, how close to the testicle that the vasectomy was performed and the skill of the surgeon.
Bladder Cancer
Kidney Cancer
Kidney Stones
These materials data were left in the entry by mistake:
-- begin --
Sr5In4Pb: optimized geometry, PBE-GGA.

Results
Energy relative to the elements, eV per formula unit: -4.50
Total energy, eV/atom: -2.76
Magnetization, μB per atom: 0.00

Unit cell a=4.075 b=4.075 c=20.501 alpha=90.00 beta=90.00 gamma=90.00
Space group P4/mmm (No. 123)
One atom of each set of equivalent atoms:
Sr 0.000 0.000 0.000
Sr 0.000 0.000 0.197
Sr 0.000 0.000 0.395
In 0.500 0.500 0.101
In 0.500 0.500 0.292
Pb 0.500 0.500 0.500

TbPm4Tm8: optimized geometry, PBE-GGA.

Results
Energy relative to the elements, eV per formula unit: 2.85
Total energy, eV/atom: -4.35
Magnetization, μB per atom: 0.00

Unit cell a=7.3547 b=7.3547 c=26.5898 alpha=90.00 beta=90.00 gamma=120.00
Space group R-3m (No. 166, hexagonal axes)
One atom of each set of equivalent atoms:
Tb 0.0000 0.0000 0.0000
Pm 0.0000 0.0000 0.5000
Pm 0.0000 0.5000 0.5000
Tm 0.0000 0.0000 0.2821
Tm 0.0416 0.5208 0.2713

RbSc2Cr: optimized geometry, PBE-GGA.

Results
Energy relative to the lowest polymorph listed for this composition, kJ per mole of atoms: 27.7
Energy relative to the elements, eV per formula unit: 3.83
Total energy, eV/atom: -4.86
Magnetization, μB per atom: 1.05

Unit cell a=7.495 b=7.495 c=7.495 alpha=90.00 beta=90.00 gamma=90.00
Space group Fm-3m (No. 225)
One atom of each set of equivalent atoms:
Rb 0.000 0.000 0.000
Sc 0.250 0.250 0.250
Cr 0.000 0.000 0.500

In3Sn12As5: optimized geometry, PBE-GGA.

Results
Energy relative to the elements, eV per formula unit: 2.58
Total energy, eV/atom: -3.85
Magnetization, μB per atom: 0.00

Unit cell a=17.100 b=17.100 c=17.100 alpha=90.00 beta=90.00 gamma=90.00
Space group Ia-3d (No. 230)
One atom of each set of equivalent atoms:
In 0.000 0.250 0.125
Sn 0.020 0.073 0.653
As 0.000 0.000 0.000
As 0.000 0.250 0.375

K2TlAu: optimized geometry, PBE-GGA.

Results
Energy relative to the elements, eV per formula unit: -0.73
Total energy, eV/atom: -2.14
Magnetization, μB per atom: 0.00

Unit cell a=5.1070 b=5.1070 c=20.8677 alpha=90.00 beta=90.00 gamma=120.00
Space group R3m (No. 160, hexagonal axes)
One atom of each set of equivalent atoms:
K 0.0000 0.0000 0.0000
K 0.0000 0.0000 0.1937
Tl 0.0000 0.0000 0.4301
Au 0.0000 0.0000 0.7651

Ac2Pm2NdHo: optimized geometry, PBE-GGA.

Results
Energy relative to the elements, eV per formula unit: 0.51
Total energy, eV/atom: -4.43
Magnetization, μB per atom: 0.00

Unit cell a=7.354 b=5.928 c=10.235 alpha=90.00 beta=90.00 gamma=90.00
Space group Pmma (No. 51)
One atom of each set of equivalent atoms:
Ac 0.000 0.000 0.000
Ac 0.250 0.500 0.174
Pm 0.250 0.000 0.343
Pm 0.250 0.500 0.827
Nd 0.000 0.500 0.500
Ho 0.250 0.000 0.664

Al2CuNi2: optimized geometry, PBE-GGA.

Results
Energy relative to the lowest polymorph listed for this composition, kJ per mole of atoms: 5.3
Energy relative to the elements, eV per formula unit: -1.89
Total energy, eV/atom: -5.01
Magnetization, μB per atom: 0.00

Unit cell a=6.837 b=6.837 c=2.716 alpha=90.00 beta=90.00 gamma=90.00
Space group P4/mbm (No. 127)
-- stop --
Penile Issues
Penile Cancer
Peyronies Disease (Bent Penis)
Erectile Dysfunction
Prostate Cancer
MRI / Ultrasound Fused Biopsy
Prostate Enlargement
Scrotal Issues
Testicular Cancer
Testicular Swelling